Health Insurance Terms
Health Insurance Terms
You likely know that health insurance is important to your livelihood, but not all insurance plans are created equal. There are an overwhelming number of options, but the good news is this means there is a perfect plan to match your health needs and financial situation. TREK will help you sort through these plans efficiently and effectively.
In order to understand the main differences between health plans, there are a few tricky pieces of “insurance lingo” that are helpful to define.
Premium: You pay this amount each month to have your plan regardless of whether you “use” it or not.
Out-of-pocket expenses: These are amounts you will pay, in addition to your premium, if you require medical care. There are four key terms that define how you’ll pay for medical expenses throughout the year: Deductibles, Coinsurance, Copays, and the Maximum Out-of-Pocket Amount. Below, we describe each and explain what they mean for you
- Deductibles: The amount you pay for health care before your insurance kicks in. For example, if your deductible is $1,500, you will pay the first $1,500 in medical bills out of your own pocket. Deductibles are cumulative over the course of a calendar year – each time you pay a small bill, it counts towards your deductible. Once you’ve reached your deductible, your insurance will begin to pay the majority of medical expenses. Each year on January 1st, your deductible resets and you start all over.
- Coinsurance: The percentage of the bill you pay. After you have paid your deductible, your insurance company will cover the majority of your health care costs and you are only responsible for a “coinsurance” portion. For example, suppose your plan has 20% coinsurance, you’ve already paid your deductible, and you need a $10,000 surgery. You would pay a maximum of $2,000 and your insurance would pay the rest.
- Copayments: A flat-fee you pay for treatment. Copays are a type of coinsurance, only they are a flat-fee rather than a percentage. You usually pay copayments when you check-in at a doctor’s office or other medical facility (unless you’re receiving free preventive care services). A copay is often a small amount (like $20 for a typical doctor’s visit).
- Maximum Out of Pocket Max: This is the maximum amount you will ever pay in a year. Every time you spend money on health care (in the form of deductibles, copayments, and coinsurance), it counts towards your maximum out-of-pocket. Once you reach this amount, your insurance company will pay the full cost of any covered medical service as long as you keep paying your premium.
TREK is your resource and trusted adviser! Need a second opinion of your group plan/individual plan? Now is the time! It may be worth your time to call TREK Insurance Group, LLC. I love helping people! TREk @ Info@TrekInsuranceGroup.com or by phone: 602.859.1377.
# Data records, as found in the file
'''
Simulated X-ray powder pattern
Compound: LiMnNi6
Radiation: Cu Kα X-rays
Structure: a DFT-relaxed cell (GGA-PBE, Alexandria)

```
data_LiMnNi6
_cell_length_a 7.040
_cell_length_b 10.051
_cell_length_c 10.055
_cell_angle_alpha 90.00
_cell_angle_beta 90.00
_cell_angle_gamma 90.00
_symmetry_space_group_name_H-M 'C m m m'
_symmetry_Int_Tables_number 65
_symmetry_space_group_name_Hall '-C 2 2'
loop_
_atom_site_label
_atom_site_type_symbol
_atom_site_fract_x
_atom_site_fract_y
_atom_site_fract_z
Li1 Li 0.000 0.000 0.249
Li2 Li 0.000 0.253 0.000
Mn1 Mn 0.000 0.250 0.500
Mn2 Mn 0.000 0.500 0.248
Ni1 Ni 0.000 0.000 0.000
Ni2 Ni 0.000 0.000 0.500
Ni3 Ni 0.000 0.250 0.249
Ni4 Ni 0.000 0.500 0.000
Ni5 Ni 0.000 0.500 0.500
Ni6 Ni 0.248 0.125 0.124
Ni7 Ni 0.249 0.125 0.374
```

Principal peaks in the range 10° ≤ 2θ ≤ 90°, most intense first:
| 2theta | d [Å] | I/Imax | index |
| --- | --- | --- | --- |
| 44.3 | 2.045 | 100 | 2 4 0 |
| 51.4 | 1.777 | 31 | 0 4 4 |
| 76.1 | 1.251 | 18 | 4 4 4 |
| 52.0 | 1.760 | 15 | 4 0 0 |
| 75.7 | 1.257 | 9 | 0 8 0 |
| 25.1 | 3.554 | 6 | 0 2 2 |
| 35.9 | 2.501 | 4 | 2 2 2 |
| 25.3 | 3.520 | 3 | 2 0 0 |

***

Simulated X-ray powder pattern
Compound: Sc4Ru
Radiation: Cu Kα X-rays
Structure: a DFT-relaxed cell (GGA-PBE, Alexandria)

```
data_Sc4Ru
_cell_length_a 6.395
_cell_length_b 6.395
_cell_length_c 5.190
_cell_angle_alpha 90.00
_cell_angle_beta 90.00
_cell_angle_gamma 90.00
_symmetry_space_group_name_H-M 'I 4/m'
_symmetry_Int_Tables_number 87
_symmetry_space_group_name_Hall '-I 4'
loop_
_atom_site_label
_atom_site_type_symbol
_atom_site_fract_x
_atom_site_fract_y
_atom_site_fract_z
Sc1 Sc 0.146 0.314 0.000
Ru1 Ru 0.000 0.000 0.500
```

Principal peaks in the range 10° ≤ 2θ ≤ 90°, most intense first:
| 2theta | d [Å] | I/Imax | index |
| --- | --- | --- | --- |
| 35.9 | 2.505 | 100 | 2 1 1 |
| 22.1 | 4.030 | 36 | 1 0 1 |
| 34.6 | 2.595 | 32 | 0 0 2 |
| 44.8 | 2.022 | 28 | 1 3 0 |
| 57.8 | 1.595 | 26 | 1 3 2 |
| 62.8 | 1.480 | 18 | 2 1 3 |
| 76.7 | 1.242 | 14 | 5 0 1 |
| 19.6 | 4.522 | 12 | 1 1 0 |

***

Simulated X-ray powder pattern
Compound: Hg3As2F12
Radiation: Cu Kα X-rays
Structure: a DFT-relaxed cell (GGA-PBE, Alexandria)

```
data_Hg3As2F12
_cell_length_a 6.032
_cell_length_b 8.726
_cell_length_c 11.727
_cell_angle_alpha 90.00
_cell_angle_beta 92.80
_cell_angle_gamma 90.00
_symmetry_space_group_name_H-M 'P 1 21/c 1'
_symmetry_Int_Tables_number 14
_symmetry_space_group_name_Hall '-P 2ybc'
loop_
_atom_site_label
_atom_site_type_symbol
_atom_site_fract_x
_atom_site_fract_y
_atom_site_fract_z
Hg1 Hg 0.000 0.000 0.000
Hg2 Hg 0.236 0.241 0.067
As1 As 0.302 0.647 0.171
F1 F 0.042 0.566 0.129
F2 F 0.173 0.683 0.715
F3 F 0.288 0.566 0.309
F4 F 0.325 0.726 0.032
F5 F 0.429 0.217 0.292
F6 F 0.431 0.028 0.622
```

Principal peaks in the range 10° ≤ 2θ ≤ 90°, most intense first:
| 2theta | d [Å] | I/Imax | index |
| --- | --- | --- | --- |
| 20.6 | 4.306 | 100 | 1 0 -2 |
| 19.7 | 4.501 | 49 | 1 1 1 |
| 36.2 | 2.479 | 45 | 2 2 0 |
'''
Looking forward to the chat!